Assignment:
The reader should set down the whole of the contents further below with every line break kept.

Given:
<<<
(1)
# NaAlAs2O7

A relaxed NaAlAs2O7 crystal (PBE, Materials Project).

Results
Magnetization in μB per formula unit: 0.00
Theoretical density in g/cm³: 3.8
V in Å³/cell: 538
ΔH_f (0 K) in eV/atom: -2.198
Symmetry: No. 14

Cell lengths 8.2836, 7.0335, 9.7002 Å; angles 72.27, 90.00, 90.00 degrees
Sites, in units of the cell vectors:
Na1 0.1387 0.8063 0.5288
Na2 0.3613 0.8063 0.0288
Na3 0.8613 0.1937 0.4712
Na4 0.6387 0.1937 0.9712
Al1 0.2754 0.2795 0.5060
Al2 0.7246 0.7205 0.4940
Al3 0.7754 0.7205 0.9940
Al4 0.2246 0.2795 0.0060
As1 0.0368 0.0575 0.7983
As2 0.4632 0.0575 0.2983
As3 0.9632 0.9425 0.2017
As4 0.4124 0.5140 0.7080
As5 0.9124 0.4860 0.7920
As6 0.5368 0.9425 0.7017
As7 0.5876 0.4860 0.2920
As8 0.0876 0.5140 0.2080
O1 0.9018 0.5322 0.1346
O2 0.8936 0.9013 0.3745
O3 0.3744 0.7677 0.7128
O4 0.5918 0.6263 0.1151
O5 0.7565 0.5210 0.8975
O6 0.2565 0.4790 0.6025
O7 0.8744 0.2323 0.7872
O8 0.3157 0.0728 0.4171
O9 0.0918 0.3737 0.3849
O10 0.3936 0.0987 0.1255
O11 0.2435 0.4790 0.1025
O12 0.6256 0.2323 0.2872
O13 0.6843 0.9272 0.5829
O14 0.8157 0.9272 0.0829
O15 0.5585 0.8336 0.3534
O16 0.1843 0.0728 0.9171
O17 0.6064 0.9013 0.8745
O18 0.1256 0.7677 0.2128
O19 0.4415 0.1664 0.6466
O20 0.9082 0.6263 0.6151
O21 0.0982 0.4678 0.8654
O22 0.9415 0.8336 0.8534
O23 0.0585 0.1664 0.1466
O24 0.1064 0.0987 0.6255
O25 0.5982 0.5322 0.6346
O26 0.4082 0.3737 0.8849
O27 0.7435 0.5210 0.3975
O28 0.4018 0.4678 0.3654

=====

(2)
# Ho7Cu3Te12

A relaxed Ho7Cu3Te12 crystal (PBE, Materials Project).

Results
Theoretical density in g/cm³: 7.0
V in Å³/cell: 683
ΔH_f (0 K) in eV/atom: -1.339
Symmetry: No. 1

Cell lengths 7.4724, 7.4771, 14.2702 Å; angles 95.00, 95.16, 119.56 degrees
Sites, in units of the cell vectors:
Ho1 0.5805 0.5826 0.7469
Ho2 0.3331 0.6662 0.9993
Ho3 0.0856 0.7523 0.2519
Ho4 0.2487 0.9132 0.7470
Ho5 0.7497 0.0816 0.2519
Ho6 0.9180 0.2516 0.7470
Ho7 0.4162 0.4174 0.2520
Cu1 0.8573 0.5232 0.5692
Cu2 0.4766 0.1433 0.4318
Cu3 0.8106 0.8111 0.4318
Te1 0.1270 0.1296 0.3814
Te2 0.7968 0.4598 0.3801
Te3 0.9577 0.6252 0.8756
Te4 0.7089 0.7079 0.1247
Te5 0.4590 0.7924 0.3817
Te6 0.8729 0.8760 0.6199
Te7 0.6259 0.9592 0.8759
Te8 0.3751 0.0426 0.1247
Te9 0.5373 0.2041 0.6199
Te10 0.2921 0.2914 0.8759
Te11 0.0407 0.3742 0.1244
Te12 0.2078 0.5393 0.6193

=====

(3)
# Na10Y4Hf4Si7S5O48

A relaxed Na10Y4Hf4Si7S5O48 crystal (PBE, Materials Project).

Results
Magnetization in μB per formula unit: 0.00
Theoretical density in g/cm³: 3.5
V in Å³/cell: 3426
ΔH_f (0 K) in eV/atom: -2.919
Symmetry: No. 1

Cell lengths 18.4984, 9.2371, 23.0975 Å; angles 90.01, 89.14, 119.76 degrees
Sites, in units of the cell vectors:
Na1 0.1841 0.3733 0.2384
Na2 0.6843 0.3745 0.2385
Na3 0.9908 0.6299 0.2569
Na4 0.4920 0.6301 0.2567
Na5 0.4911 0.3473 0.7628
Na6 0.1846 0.9972 0.7427
Na7 0.6831 0.9966 0.7424
Na8 0.6628 0.3447 0.5778
Na9 0.0168 0.7064 0.5767
Na10 0.8250 0.9594 0.5938
Na11 0.4961 0.6771 0.9105
Na12 0.9978 0.6773 0.9093
Na13 0.8493 0.0371 0.9049
Na14 0.1558 0.2956 0.9258
Na15 0.4952 0.3167 0.4092
Na16 0.9922 0.3112 0.4097
Na17 0.3476 0.6598 0.4039
Na18 0.8498 0.6644 0.4091
Na19 0.0277 0.0101 0.4976
Na20 0.5239 0.9887 0.4956
Na21 0.0165 0.0254 0.0012
Na22 0.5247 0.0574 0.9957
Na23 0.3438 0.3219 0.8340
Na24 0.8509 0.3386 0.8262
Na25 0.3398 0.3366 0.3293
Na26 0.8382 0.3348 0.3317
Na27 0.1786 0.6528 0.1633
Na28 0.6781 0.6534 0.1638
Na29 0.1779 0.6920 0.6702
Na30 0.6767 0.6901 0.6672
Y1 0.0014 0.9983 0.3512
Y2 0.5019 0.0001 0.3502
Y3 0.9981 0.9995 0.8476
Y4 0.4961 0.0016 0.8540
Y5 0.3329 0.3306 0.6853
Y6 0.8360 0.3379 0.6868
Y7 0.3339 0.3377 0.1826
Y8 0.8337 0.3376 0.1828
Y9 0.1613 0.6550 0.0194
Y10 0.6599 0.6505 0.0204
Y11 0.1655 0.6729 0.5184
Y12 0.6600 0.6697 0.5189
Hf1 0.9968 0.9839 0.6502
Hf2 0.4964 0.9785 0.6496
Hf3 0.9983 0.0146 0.1482
Hf4 0.4981 0.0130 0.1479
Hf5 0.3280 0.3177 0.9803
Hf6 0.8247 0.3232 0.9804
Hf7 0.3255 0.3273 0.4802
Hf8 0.8277 0.3442 0.4808
Hf9 0.1644 0.6499 0.3143
Hf10 0.6633 0.6508 0.3148
Hf11 0.1624 0.6788 0.8136
>>>

Result:
(1)
# NaAlAs2O7

A relaxed NaAlAs2O7 crystal (PBE, Materials Project).

Results
Magnetization in μB per formula unit: 0.00
Theoretical density in g/cm³: 3.8
V in Å³/cell: 538
ΔH_f (0 K) in eV/atom: -2.198
Symmetry: No. 14

Cell lengths 8.2836, 7.0335, 9.7002 Å; angles 72.27, 90.00, 90.00 degrees
Sites, in units of the cell vectors:
Na1 0.1387 0.8063 0.5288
Na2 0.3613 0.8063 0.0288
Na3 0.8613 0.1937 0.4712
Na4 0.6387 0.1937 0.9712
Al1 0.2754 0.2795 0.5060
Al2 0.7246 0.7205 0.4940
Al3 0.7754 0.7205 0.9940
Al4 0.2246 0.2795 0.0060
As1 0.0368 0.0575 0.7983
As2 0.4632 0.0575 0.2983
As3 0.9632 0.9425 0.2017
As4 0.4124 0.5140 0.7080
As5 0.9124 0.4860 0.7920
As6 0.5368 0.9425 0.7017
As7 0.5876 0.4860 0.2920
As8 0.0876 0.5140 0.2080
O1 0.9018 0.5322 0.1346
O2 0.8936 0.9013 0.3745
O3 0.3744 0.7677 0.7128
O4 0.5918 0.6263 0.1151
O5 0.7565 0.5210 0.8975
O6 0.2565 0.4790 0.6025
O7 0.8744 0.2323 0.7872
O8 0.3157 0.0728 0.4171
O9 0.0918 0.3737 0.3849
O10 0.3936 0.0987 0.1255
O11 0.2435 0.4790 0.1025
O12 0.6256 0.2323 0.2872
O13 0.6843 0.9272 0.5829
O14 0.8157 0.9272 0.0829
O15 0.5585 0.8336 0.3534
O16 0.1843 0.0728 0.9171
O17 0.6064 0.9013 0.8745
O18 0.1256 0.7677 0.2128
O19 0.4415 0.1664 0.6466
O20 0.9082 0.6263 0.6151
O21 0.0982 0.4678 0.8654
O22 0.9415 0.8336 0.8534
O23 0.0585 0.1664 0.1466
O24 0.1064 0.0987 0.6255
O25 0.5982 0.5322 0.6346
O26 0.4082 0.3737 0.8849
O27 0.7435 0.5210 0.3975
O28 0.4018 0.4678 0.3654

=====

(2)
# Ho7Cu3Te12

A relaxed Ho7Cu3Te12 crystal (PBE, Materials Project).

Results
Theoretical density in g/cm³: 7.0
V in Å³/cell: 683
ΔH_f (0 K) in eV/atom: -1.339
Symmetry: No. 1

Cell lengths 7.4724, 7.4771, 14.2702 Å; angles 95.00, 95.16, 119.56 degrees
Sites, in units of the cell vectors:
Ho1 0.5805 0.5826 0.7469
Ho2 0.3331 0.6662 0.9993
Ho3 0.0856 0.7523 0.2519
Ho4 0.2487 0.9132 0.7470
Ho5 0.7497 0.0816 0.2519
Ho6 0.9180 0.2516 0.7470
Ho7 0.4162 0.4174 0.2520
Cu1 0.8573 0.5232 0.5692
Cu2 0.4766 0.1433 0.4318
Cu3 0.8106 0.8111 0.4318
Te1 0.1270 0.1296 0.3814
Te2 0.7968 0.4598 0.3801
Te3 0.9577 0.6252 0.8756
Te4 0.7089 0.7079 0.1247
Te5 0.4590 0.7924 0.3817
Te6 0.8729 0.8760 0.6199
Te7 0.6259 0.9592 0.8759
Te8 0.3751 0.0426 0.1247
Te9 0.5373 0.2041 0.6199
Te10 0.2921 0.2914 0.8759
Te11 0.0407 0.3742 0.1244
Te12 0.2078 0.5393 0.6193

=====

(3)
# Na10Y4Hf4Si7S5O48

A relaxed Na10Y4Hf4Si7S5O48 crystal (PBE, Materials Project).

Results
Magnetization in μB per formula unit: 0.00
Theoretical density in g/cm³: 3.5
V in Å³/cell: 3426
ΔH_f (0 K) in eV/atom: -2.919
Symmetry: No. 1

Cell lengths 18.4984, 9.2371, 23.0975 Å; angles 90.01, 89.14, 119.76 degrees
Sites, in units of the cell vectors:
Na1 0.1841 0.3733 0.2384
Na2 0.6843 0.3745 0.2385
Na3 0.9908 0.6299 0.2569
Na4 0.4920 0.6301 0.2567
Na5 0.4911 0.3473 0.7628
Na6 0.1846 0.9972 0.7427
Na7 0.6831 0.9966 0.7424
Na8 0.6628 0.3447 0.5778
Na9 0.0168 0.7064 0.5767
Na10 0.8250 0.9594 0.5938
Na11 0.4961 0.6771 0.9105
Na12 0.9978 0.6773 0.9093
Na13 0.8493 0.0371 0.9049
Na14 0.1558 0.2956 0.9258
Na15 0.4952 0.3167 0.4092
Na16 0.9922 0.3112 0.4097
Na17 0.3476 0.6598 0.4039
Na18 0.8498 0.6644 0.4091
Na19 0.0277 0.0101 0.4976
Na20 0.5239 0.9887 0.4956
Na21 0.0165 0.0254 0.0012
Na22 0.5247 0.0574 0.9957
Na23 0.3438 0.3219 0.8340
Na24 0.8509 0.3386 0.8262
Na25 0.3398 0.3366 0.3293
Na26 0.8382 0.3348 0.3317
Na27 0.1786 0.6528 0.1633
Na28 0.6781 0.6534 0.1638
Na29 0.1779 0.6920 0.6702
Na30 0.6767 0.6901 0.6672
Y1 0.0014 0.9983 0.3512
Y2 0.5019 0.0001 0.3502
Y3 0.9981 0.9995 0.8476
Y4 0.4961 0.0016 0.8540
Y5 0.3329 0.3306 0.6853
Y6 0.8360 0.3379 0.6868
Y7 0.3339 0.3377 0.1826
Y8 0.8337 0.3376 0.1828
Y9 0.1613 0.6550 0.0194
Y10 0.6599 0.6505 0.0204
Y11 0.1655 0.6729 0.5184
Y12 0.6600 0.6697 0.5189
Hf1 0.9968 0.9839 0.6502
Hf2 0.4964 0.9785 0.6496
Hf3 0.9983 0.0146 0.1482
Hf4 0.4981 0.0130 0.1479
Hf5 0.3280 0.3177 0.9803
Hf6 0.8247 0.3232 0.9804
Hf7 0.3255 0.3273 0.4802
Hf8 0.8277 0.3442 0.4808
Hf9 0.1644 0.6499 0.3143
Hf10 0.6633 0.6508 0.3148
Hf11 0.1624 0.6788 0.8136